Title: "Maya the Mycelium and Neti the Neural Network"

In a whispering forest, Maya the Mycelium weaved her threads beneath the soil, linking tree to tree in a silent dance of sharing and support. She was the unseen lifeline of the woods, a natural connector in an underground world.

Nearby, in the town of Synapseville, Neti the Neural Network sparked and flickered in the townspeople's minds, weaving a tapestry of thoughts and memories, guiding decisions and dreams with invisible threads of his own.

One bright morning, Neti, while exploring the thoughts of a young scientist studying the forest, discovered something astonishing. He learned about Maya, about her intricate web that held the forest together. Neti was amazed. "She's like me," he realized, "but in a different world."

This revelation inspired Neti. He saw how Maya's network nurtured and sustained the forest, and he wondered, "Can I grow and connect like Maya? Can I weave my thoughts and dreams to be stronger, more resilient?"

So, Neti began to mimic Maya, strengthening the connections between thoughts, deepening the understanding within minds. He helped the people of Synapseville not just to think and remember, but to grow and thrive together, inspired by the hidden, yet powerful network of Maya the Mycelium.

And thus, in the heart of the forest and the center of the town, two networks, different yet alike, thrived in harmony, teaching and enriching their worlds in ways unseen but deeply felt.

This story reflects our ME=WE philosophy. Like Maya, we support and strengthen our collective community. And like Nero, we embrace the transformative power of self-awareness for societal change.

**Molecular data, kept here for reference**
- - -
C34H55MgN4OP2S | ωB97M-V/def2-TZVPD

```
98
Properties=species:S:1:pos:R:3
C 2.83 -0.60 -1.23
C 1.27 0.14 -2.81
C 3.81 -0.72 -2.22
C 2.19 0.02 -3.84
C 3.49 -0.40 -3.53
H 4.80 -1.08 -1.94
H 1.89 0.24 -4.87
H 4.23 -0.48 -4.32
N 1.62 -0.12 -1.53
P 1.48 -1.74 0.96
P -0.95 1.55 -1.70
C 3.05 -1.06 0.21
H 3.89 -1.78 0.26
H 3.32 -0.19 0.84
C -1.45 -0.11 1.37
O -2.37 -0.22 2.10
C -0.20 0.40 -3.04
H -0.40 0.76 -4.06
C -2.82 1.56 -2.03
C -0.16 3.24 -1.96
C 1.24 -3.48 0.26
C 1.81 -1.77 2.82
C -3.57 0.70 -0.99
H -3.65 1.23 -0.03
H -4.59 0.53 -1.36
H -3.09 -0.27 -0.80
C -3.35 3.00 -1.88
H -3.25 3.36 -0.85
H -2.87 3.71 -2.56
H -4.43 2.99 -2.12
C -3.13 1.02 -3.45
H -4.10 1.43 -3.77
H -2.38 1.31 -4.19
H -3.22 -0.07 -3.45
C -0.67 4.21 -0.87
H -1.10 3.66 -0.02
H 0.18 4.80 -0.50
H -1.42 4.91 -1.25
C 1.37 3.12 -1.79
H 1.65 2.47 -0.96
H 1.86 2.76 -2.70
H 1.77 4.13 -1.58
C -0.45 3.78 -3.39
H -1.02 3.07 -3.99
H -0.98 4.74 -3.36
H 0.51 3.96 -3.89
C 0.55 -2.27 3.55
H 0.48 -1.77 4.53
H -0.37 -2.04 2.99
H 0.58 -3.36 3.74
C 2.13 -0.35 3.31
H 2.85 0.18 2.70
H 1.22 0.25 3.34
H 2.47 -0.39 4.35
C 3.04 -2.63 3.15
H 3.64 -2.11 3.91
H 2.77 -3.61 3.57
H 3.69 -2.79 2.28
C 1.05 -3.38 -1.27
H 1.72 -4.07 -1.81
H 0.02 -3.63 -1.52
H 1.24 -2.37 -1.63
C -0.07 -4.04 0.87
H -0.85 -3.26 0.84
H -0.41 -4.88 0.25
H 0.06 -4.40 1.89
C 2.42 -4.43 0.54
H 3.36 -4.05 0.12
H 2.56 -4.63 1.61
H 2.20 -5.39 0.05
Mg 0.05 -0.08 -0.20
N -0.95 -1.32 -1.45
C -0.89 -0.99 -2.66
C -1.39 -1.87 -3.80
C -2.42 -2.76 -3.48
C -0.86 -1.84 -5.09
C -2.93 -3.62 -4.46
H -2.80 -2.78 -2.45
C -1.37 -2.69 -6.07
H -0.05 -1.15 -5.34
C -2.41 -3.59 -5.76
H -3.74 -4.31 -4.21
H -0.96 -2.66 -7.08
H -2.80 -4.25 -6.53
C 0.04 3.81 4.43
N 0.35 2.78 3.43
C -0.22 1.59 3.40
S -0.07 0.93 1.84
N -0.83 0.87 4.34
C -0.50 1.04 5.77
H -0.74 3.45 5.11
H -0.34 4.70 3.94
H 0.95 4.06 4.99
H 0.96 3.13 2.66
H -1.23 -0.07 4.16
H -0.44 0.07 6.27
H 0.47 1.53 5.87
H -1.29 1.62 6.27
```

energy above the lowest of the compared OMol25 structures with the same formula, charge and spin = 1.5762 eV
E_tot = -2903.531137 Ha
highest occupied orbital energy = -9.3 eV
charge = +1
E_LUMO = -0.09439 hartree

***

C34H56BClN5O9PS | ωB97M-V/def2-TZVPD

```
108
Properties=species:S:1:pos:R:3
C -2.97 -5.68 2.89
C -1.59 -5.08 2.51
B -1.64 -3.51 2.22
O -2.83 -2.82 2.14
C -0.21 -2.81 1.99
C 0.43 -2.10 2.98
C -0.21 -1.88 4.35
C -0.99 -0.49 4.29
C -2.54 -0.61 4.27
C -3.17 0.15 3.08
C -4.72 0.19 3.11
C -5.41 -0.87 2.21
C -4.94 -0.86 0.73
S -6.28 -0.43 -0.44
C -5.35 0.26 -1.78
N -5.41 0.06 -3.06
N -4.43 0.88 -3.56
C -3.83 1.51 -2.62
O -4.39 1.13 -1.42
C 1.75 -1.56 2.64
C 2.50 -0.76 3.71
C 2.32 -1.76 1.41
C 3.70 -1.23 1.09
C 3.72 -0.10 0.06
O 2.78 0.63 -0.13
N 4.98 0.05 -0.65
C 5.58 1.36 -0.38
C 4.81 -0.21 -2.08
C 1.63 -2.47 0.38
N 2.25 -2.58 -0.83
C 1.49 -3.22 -1.69
C 2.07 -3.38 -3.11
C 2.35 -4.84 -3.53
O 2.45 -5.09 -4.69
Cl 2.50 -6.16 -2.35
C 0.18 -3.76 -1.41
P -0.88 -4.65 -2.66
O -0.69 -6.09 -2.63
O -2.41 -4.35 -2.16
O -0.75 -3.98 -4.13
N -0.37 -3.66 -0.22
C 0.37 -2.98 0.69
- - -

Envision Neti's journey of learning from Maya. It symbolizes our path in ME=WE: individual understanding (ME) leading to our collective empowerment (WE). Nero's evolution represents the transformative awakening that occurs when we open our hearts to the wisdom of nature and community.

Unrelated to this piece: calculated molecules:
- - -
ORCA calculation (ωB97M-V/def2-TZVPD) on 35 unconnected molecules or ions with the total composition H70O35 at a distorted geometry.

Last column: Löwdin charge in e.
Element x y z (Å)
O  -35.303  5.504  26.533  -0.03
H  -35.148  5.423  25.592  0.06
H  -35.144  6.429  26.724  0.03
O  -35.617  1.745  32.534  -0.04
H  -35.153  2.580  32.478  0.01
H  -35.729  1.471  31.624  0.02
O  -31.186  5.522  33.729  -0.03
H  -31.560  5.378  32.860  0.04
H  -30.430  4.935  33.766  0.03
O  -30.431  3.592  27.719  -0.03
H  -29.813  3.922  27.066  0.07
H  -31.027  4.324  27.877  -0.01
O  -33.283  1.111  34.445  -0.04
H  -32.560  1.284  33.842  -0.02
H  -34.065  1.125  33.892  0.01
O  -37.366  6.864  33.762  -0.08
H  -37.217  6.152  33.140  -0.03
H  -36.504  7.262  33.883  -0.04
O  -35.048  0.174  27.511  -0.03
H  -35.948  -0.028  27.768  0.08
H  -34.782  -0.566  26.967  0.08
O  -29.753  0.197  34.257  -0.03
H  -29.714  -0.735  34.472  0.07
H  -30.395  0.254  33.549  0.02
O  -29.909  1.711  29.764  -0.05
H  -30.123  2.346  29.080  0.00
H  -30.714  1.208  29.886  0.01
O  -27.356  2.114  30.296  -0.08
H  -27.423  2.056  31.249  -0.03
H  -28.241  1.930  29.981  -0.04
O  -32.334  4.390  24.952  -0.05
H  -31.865  4.603  25.759  -0.01
H  -33.028  3.791  25.229  -0.03
O  -31.953  0.085  25.914  -0.04
H  -31.128  0.005  25.435  0.05
H  -31.827  0.844  26.484  0.01
O  -31.858  5.918  27.957  -0.02
H  -31.412  6.587  27.438  0.07
H  -31.792  6.231  28.860  0.06
O  -33.093  3.697  35.696  -0.04
H  -33.031  3.218  36.523  0.07
H  -33.004  3.024  35.021  0.01
O  -31.049  7.895  35.125  -0.06
H  -30.977  7.020  34.744  -0.03
H  -31.143  7.740  36.065  0.01
O  -35.189  7.729  28.464  -0.04
H  -34.646  8.359  27.990  0.05
H  -34.792  7.676  29.334  0.00
O  -34.490  4.358  32.648  -0.04
H  -34.437  4.800  33.495  0.05
H  -35.311  4.668  32.265  0.01
O  -37.578  4.537  27.752  -0.05
H  -38.143  5.309  27.758  0.05
H  -36.743  4.853  27.408  -0.02
O  -31.337  1.683  32.530  -0.04
H  -30.823  1.209  31.877  0.03
H  -31.614  2.484  32.083  0.00
O  -37.070  1.582  34.895  -0.08
H  -36.762  2.434  35.205  -0.04
H  -36.532  1.397  34.125  -0.03
O  -29.562  4.756  30.374  -0.05
H  -29.414  4.619  31.310  -0.01
H  -29.552  3.876  29.998  -0.01
O  -35.978  3.971  34.955  -0.03
H  -36.508  4.520  35.532  0.07
H  -35.250  3.679  35.503  0.03
O  -33.539  6.445  36.349  -0.04
H  -32.941  6.874  36.961  0.05
H  -33.117  5.610  36.146  0.00
O  -29.639  7.791  30.457  -0.06
H  -29.298  7.843  31.349  0.03
H  -29.518  6.875  30.206  -0.02
O  -34.588  7.402  31.380  -0.03
H  -33.922  7.287  32.058  0.04
H  -34.882  8.308  31.484  0.06
O  -32.443  0.402  29.525  -0.01
H  -33.193  0.523  28.944  0.01
H  -32.481  -0.521  29.778  0.07
O  -34.876  7.706  34.262  -0.04
H  -34.360  8.512  34.283  0.06
H  -34.600  7.224  35.041  0.01
O  -36.770  5.422  31.613  -0.03
H  -36.412  5.919  30.877  0.05
H  -37.035  4.586  31.232  0.02
O  -34.077  3.762  28.909  -0.03
H  -33.794  3.450  28.050  0.02
- - -

This story is our mission in motion. We build communal spaces, akin to Maya's network, where we can connect, grow, and become forces for positive change. It's about discovering our inner depths and using this awareness to heal, unite, and enrich our collective wellbeing.

Let this narrative remind us of our dedication to learning, growing, and nurturing ourselves and our communities.
We are transforming ourselves to transform society, finding strength in our unity and interconnectedness.

1. Complexity and Connectivity: Both mycelium and neural networks are known for their complex and interconnected structures. This can be a powerful way to illustrate the intricate connections within a community, showing how each member's actions can impact the whole.

2. Communication and Information Flow: Just as mycelium and neural networks facilitate communication and the flow of nutrients or information, we use these metaphors to explore how information, ideas, and influence spread within a community.

3. Adaptability and Learning: Neural networks, particularly in the context of artificial intelligence, adapt and learn from new data. Similarly, mycelium can adapt to its environment. These characteristics can be used to symbolize a community's ability to learn and evolve.

• Misplaced data records:
~~~
(1)
ORCA calculation (ωB97M-V/def2-TZVPD) on a structure of composition C13H7BeF3I2N2O4S in a non-equilibrium geometry.

As for the energy above the lowest of the compared OMol25 structures with the same formula, charge and spin: 6.97 kcal/mol. The HOMO energy is -8.777 eV. The value obtained for the HOMO-LUMO gap is 7.42 eV.

Geometry as ORCA input:
```
! wB97M-V def2-TZVPD RIJCOSX def2/J DEFGRID3
* xyz 0 1
Be -0.6643 -1.4592 1.8771
F 1.9514 1.6153 4.5843
C 2.2665 1.7478 3.2903
F 3.4860 2.3088 3.2341
F 1.4096 2.6173 2.7491
C 2.2452 0.4216 2.5755
C 3.3163 0.0103 1.8080
C 3.2656 -1.1860 1.0836
C 2.1021 -1.9168 1.1264
N 1.0749 -1.5379 1.8875
C 1.1187 -0.4106 2.6354
S -0.3885 -0.1756 3.4879
H 4.2016 0.6304 1.7615
H 4.1018 -1.5188 0.4871
H 1.9672 -2.8258 0.5536
O -2.5487 -2.1761 -0.3718
C -1.9135 -1.1114 -0.3853
O -1.1427 -0.7021 0.5569
C -2.0249 -0.2200 -1.5790
C -3.0496 -0.4296 -2.4945
C -3.1605 0.3781 -3.6174
C -2.2368 1.3878 -3.8409
C -1.2242 1.5591 -2.9188
C -1.0971 0.7906 -1.7836
N -0.2201 2.6265 -3.1663
O 0.6981 2.7195 -2.3821
O -0.4730 3.4348 -4.0341
H -3.7516 -1.2332 -2.3188
H -3.9639 0.2220 -4.3245
H -2.2915 2.0316 -4.7059
H -0.2993 0.9729 -1.0789
I -1.8594 -3.6402 1.5682
I -0.8957 -4.9309 3.7353
*
```

(2)
ORCA calculation (ωB97M-V/def2-TZVPD) on the molecule C13H7F9N2O in a non-equilibrium geometry.

The HOMO energy is -8.314 eV. The value obtained for the HOMO-LUMO gap is 7.11 eV. As for the structure (SMILES): O=C1CC(C(F)(F)C(F)(F)C(F)(F)C(F)(F)F)=Nc2ccccc2N1.

Geometry as ORCA input:
```
! wB97M-V def2-TZVPD RIJCOSX def2/J DEFGRID3
* xyz 0 1
O 0.5152 -1.0486 4.2360
C -0.1799 -0.4423 3.4968
N -1.4808 -0.4214 3.5414
C -2.3519 0.3071 2.5256
C -3.6792 0.7285 2.9136
C -4.4113 1.5201 2.1349
C -4.1304 1.7811 0.7414
C -3.0135 0.9500 0.2948
C -2.0243 0.3411 1.0823
N -1.0286 -0.1100 0.4861
C 0.3662 -0.2740 1.0785
C 0.7031 0.2433 2.2624
H 0.0523 1.3728 2.2506
H 1.7437 0.3564 2.5271
C 1.1669 -1.1031 0.1616
F 0.7149 -1.8880 -0.5361
F 2.0248 -1.4372 0.9386
C 1.9801 0.0419 -0.8566
F 1.8276 1.1476 -0.2697
F 3.3755 -0.2260 -0.7532
C 1.5085 -0.2241 -2.3500
F 2.4891 0.8026 -3.0127
F 1.8390 -1.3596 -2.7049
C 0.1684 0.3965 -2.5806
F -0.2917 1.0496 -1.8323
F -0.8530 -0.7275 -2.2378
F -0.2325 0.6243 -3.9833
H -2.7126 1.0655 -0.6139
H -4.8102 2.1949 0.1639
H -5.3391 1.9122 2.6646
H -3.6293 0.5891 4.1488
H -1.9235 -0.9044 4.1174
*
```

(3)
ORCA calculation (ωB97M-V/def2-TZVPD) on a structure of composition C13H8AuN7O8 in a non-equilibrium geometry.

As for the energy above the lowest of the compared OMol25 structures with the same formula, charge and spin: 34.90 kcal/mol. The HOMO energy (alpha / beta) is -14.943 / -14.940 eV. The value obtained for the HOMO-LUMO gap (alpha / beta) is 4.17 / 4.17 eV.

Geometry as ORCA input:
```
! wB97M-V def2-TZVPD RIJCOSX def2/J DEFGRID3
* xyz 2 1
Au -0.1617 0.0922 -0.1678
O -3.3736 -2.3492 0.4373
C -2.7240 -1.3586 0.2936
O -1.4827 -1.1981 0.5437
C -3.5053 -0.0871 -0.1602
C -4.8390 -0.0033 0.1744
C -5.5156 1.1856 -0.0720
~~~

4. Resilience and Support Systems: Both systems demonstrate resilience and the ability to support others in their network. This can be a great way to discuss how communities support their members and withstand internal and external challenges.

5. Hidden Connections: Much of the activity in both mycelium and neural networks is not immediately visible. This aspect can be used to delve into the unseen or underappreciated elements of community dynamics.